**Input:**
........
(1)
Below is C32H37BFeO2 as an isolated structure at a distorted geometry, with properties calculated with ωB97M-V/def2-TZVPD.

Summary:
M   520.30 g/mol
Total charge   0
DFT total energy   -2680.37973 Eh
2S+1   5
F_max   2.79 eV/A
⟨S²⟩   6.082

Cartesian coordinates (Å):
1 C -0.47379 0.99433 3.87582
2 C -1.92365 0.82531 3.42100
3 C -2.77947 1.72452 4.31564
4 O -2.05880 1.24115 2.07755
5 B -1.90905 0.06848 1.20580
6 C -3.39412 -0.10734 0.37717
7 C -3.84013 -1.38524 0.05487
8 C -5.11445 -1.59080 -0.51607
9 C -5.98048 -0.51439 -0.73646
10 C -5.54407 0.76965 -0.39363
11 C -4.27335 0.96465 0.19344
12 C -0.66089 0.44747 0.12778
13 C -0.68855 1.83678 -0.31781
14 C 0.43806 -0.44881 -0.17721
15 O -1.81565 -1.11676 2.07052
16 C -2.30049 -0.75173 3.35884
17 C -1.61699 -1.61933 4.41606
18 C -3.79651 -0.99632 3.51890
19 H -0.37150 0.78390 4.95243
20 H 0.19373 0.32441 3.31424
21 H -0.14890 2.02830 3.70282
22 H -2.71307 1.44726 5.37829
23 H -2.41680 2.75778 4.23121
24 H -3.83175 1.72064 4.02077
25 H -3.21244 -2.25389 0.25050
26 H -5.41666 -2.60052 -0.79178
27 H -6.98383 -0.67710 -1.14795
28 H -6.18709 1.63202 -0.58587
29 H -4.00131 1.97840 0.49768
30 H -1.74939 2.11636 -0.41665
31 H -0.28100 2.51481 0.44799
32 H -0.16412 2.03740 -1.26639
33 H 0.82854 -0.56037 0.85075
34 H 0.02436 -1.42738 -0.47350
35 H -1.89558 -1.29509 5.42973
36 H -1.94724 -2.66147 4.30592
37 H -0.52565 -1.59671 4.32568
38 H -4.11171 -0.87441 4.56798
39 H -4.40690 -0.33346 2.89850
40 H -4.02433 -2.03168 3.23609
41 C 3.11889 -2.81508 -4.54012
42 C 3.41105 -2.70534 -3.11573
43 C 4.45876 -1.70439 -2.94983
44 C 4.80914 -1.20961 -4.26798
45 C 3.99015 -1.89147 -5.24562
46 Fe 2.85107 -0.99391 -3.86730
47 C 2.26823 0.69627 -4.68585
48 C 1.24198 -0.31319 -4.80153
49 C 0.90924 -0.77128 -3.45995
50 C 1.70730 -0.03368 -2.49987
51 C 1.75846 -0.24993 -0.98615
52 C 2.70730 0.72642 -0.29118
53 C 3.56622 0.21089 0.68899
54 C 4.30970 1.08291 1.48821
55 C 4.07322 2.46699 1.37766
56 C 3.18817 2.97170 0.42159
57 C 2.59746 2.10043 -0.49412
58 C 2.59561 0.84825 -3.27902
59 H 2.46280 -3.55303 -4.99756
60 H 3.00493 -3.33981 -2.33167
61 H 4.97579 -1.46803 -2.01860
62 H 5.64429 -0.55010 -4.49000
63 H 4.11224 -1.83743 -6.32531
64 H 2.69755 1.28895 -5.48820
65 H 0.74458 -0.60488 -5.72127
66 H 0.13939 -1.48943 -3.19002
67 H 2.33220 -1.20830 -0.86473
68 H 3.60019 -0.87891 0.82736
69 H 5.02187 0.66712 2.21196
70 H 4.55311 3.13938 2.08773
71 H 2.92257 4.02879 0.37169
72 H 1.98218 2.47465 -1.31584
73 H 3.31938 1.54420 -2.84840


(2)
Below is C32H37N9O4S3Sn as an isolated structure at a distorted geometry, with properties calculated with ωB97M-V/def2-TZVPD.

Summary:
M   826.62 g/mol
Total charge   -2
DFT total energy   -3444.36141 Eh
F_max   3.38 eV/A

Cartesian coordinates (Å):
1 Sn 13.24383 11.08769 11.57627
2 O 10.55970 7.40417 10.97022
3 C 11.50660 8.25235 10.97170
4 N 11.38147 9.57523 10.94029
5 C 10.03184 9.85934 10.87376
6 C 9.64856 11.35405 11.10206
7 C 8.34799 11.72278 10.88337
8 C 8.04046 13.06926 11.02411
9 C 9.06086 14.01107 11.30031
10 C 10.35742 13.52989 11.50976
11 N 10.61711 12.20193 11.46885
12 C 12.91125 7.75922 11.11419
13 C 13.16002 6.40203 10.96037
14 C 14.46311 5.92937 11.17670
15 C 15.46989 6.85329 11.56882
16 C 15.11383 8.19990 11.68537
17 N 13.88940 8.65869 11.44127
18 H 9.46098 9.23387 11.57088
19 H 9.61483 9.58148 9.91534
20 H 7.53592 11.03034 10.67975
21 H 7.01479 13.33912 10.86964
22 H 8.89725 15.03289 11.26716
23 H 11.18803 14.18501 11.81168
24 H 12.42354 5.74428 10.52296
25 H 14.62662 4.81796 11.16602
26 H 16.47837 6.61544 11.91058
27 H 15.92081 8.94981 11.86856
28 C 16.28446 10.29963 15.44523
29 C 15.17202 10.71293 14.56106
30 S 15.53015 11.40237 12.97464
31 C 13.95240 10.33111 14.93032
32 C 13.50546 9.78458 16.22231
33 S 12.52634 10.39510 13.85158
34 H 17.00763 9.85338 14.82312
35 H 15.96692 9.59071 16.21160
36 H 16.77538 11.06043 16.00108
37 H 13.78690 8.71866 16.29223
38 H 12.42881 9.83267 16.27849
39 H 13.92602 10.34337 17.05164
40 N 12.23480 13.33515 15.49995
........
**What to do:**
Please restate only the last part of the block above, starting with the line that has "4.45876 -1.70439".
**Response:**
43 C 4.45876 -1.70439 -2.94983
44 C 4.80914 -1.20961 -4.26798
45 C 3.99015 -1.89147 -5.24562
46 Fe 2.85107 -0.99391 -3.86730
47 C 2.26823 0.69627 -4.68585
48 C 1.24198 -0.31319 -4.80153
49 C 0.90924 -0.77128 -3.45995
50 C 1.70730 -0.03368 -2.49987
51 C 1.75846 -0.24993 -0.98615
52 C 2.70730 0.72642 -0.29118
53 C 3.56622 0.21089 0.68899
54 C 4.30970 1.08291 1.48821
55 C 4.07322 2.46699 1.37766
56 C 3.18817 2.97170 0.42159
57 C 2.59746 2.10043 -0.49412
58 C 2.59561 0.84825 -3.27902
59 H 2.46280 -3.55303 -4.99756
60 H 3.00493 -3.33981 -2.33167
61 H 4.97579 -1.46803 -2.01860
62 H 5.64429 -0.55010 -4.49000
63 H 4.11224 -1.83743 -6.32531
64 H 2.69755 1.28895 -5.48820
65 H 0.74458 -0.60488 -5.72127
66 H 0.13939 -1.48943 -3.19002
67 H 2.33220 -1.20830 -0.86473
68 H 3.60019 -0.87891 0.82736
69 H 5.02187 0.66712 2.21196
70 H 4.55311 3.13938 2.08773
71 H 2.92257 4.02879 0.37169
72 H 1.98218 2.47465 -1.31584
73 H 3.31938 1.54420 -2.84840


(2)
Below is C32H37N9O4S3Sn as an isolated structure at a distorted geometry, with properties calculated with ωB97M-V/def2-TZVPD.

Summary:
M   826.62 g/mol
Total charge   -2
DFT total energy   -3444.36141 Eh
F_max   3.38 eV/A

Cartesian coordinates (Å):
1 Sn 13.24383 11.08769 11.57627
2 O 10.55970 7.40417 10.97022
3 C 11.50660 8.25235 10.97170
4 N 11.38147 9.57523 10.94029
5 C 10.03184 9.85934 10.87376
6 C 9.64856 11.35405 11.10206
7 C 8.34799 11.72278 10.88337
8 C 8.04046 13.06926 11.02411
9 C 9.06086 14.01107 11.30031
10 C 10.35742 13.52989 11.50976
11 N 10.61711 12.20193 11.46885
12 C 12.91125 7.75922 11.11419
13 C 13.16002 6.40203 10.96037
14 C 14.46311 5.92937 11.17670
15 C 15.46989 6.85329 11.56882
16 C 15.11383 8.19990 11.68537
17 N 13.88940 8.65869 11.44127
18 H 9.46098 9.23387 11.57088
19 H 9.61483 9.58148 9.91534
20 H 7.53592 11.03034 10.67975
21 H 7.01479 13.33912 10.86964
22 H 8.89725 15.03289 11.26716
23 H 11.18803 14.18501 11.81168
24 H 12.42354 5.74428 10.52296
25 H 14.62662 4.81796 11.16602
26 H 16.47837 6.61544 11.91058
27 H 15.92081 8.94981 11.86856
28 C 16.28446 10.29963 15.44523
29 C 15.17202 10.71293 14.56106
30 S 15.53015 11.40237 12.97464
31 C 13.95240 10.33111 14.93032
32 C 13.50546 9.78458 16.22231
33 S 12.52634 10.39510 13.85158
34 H 17.00763 9.85338 14.82312
35 H 15.96692 9.59071 16.21160
36 H 16.77538 11.06043 16.00108
37 H 13.78690 8.71866 16.29223
38 H 12.42881 9.83267 16.27849
39 H 13.92602 10.34337 17.05164
40 N 12.23480 13.33515 15.49995